Incomplete grades for undergraduate students

Policies and procedures for instructors:


As noted in the Student Code, the I grade means temporarily excused. It's an approved extension of time to complete the final examination or other requirements of the course.

The LAS Student Handbook further identifies the I grade as the appropriate remedy when a student must delay completion of a final requirement. An I grade extends to the student the formal right to complete specific missed work, generally confined to the final assignments of the course, by midterm of the subsequent semester. It is the student's responsibility to communicate with the instructor in the course regarding the schedule and expectations for outstanding work. If a student fails to complete this work as expected, and no grounds exist for consideration by the college of a retroactive drop of the class, the I grade automatically converts to an F grade in one year's time.


According to university policy, only the dean of the student's academic college may authorize an I for our undergraduate students. In LAS, this authority is delegated to the associate dean, assistant deans, and advisors of LAS Student Academic Affairs.

Ordinarily the college's criteria for granting such extensions include documented medical emergency or other extraordinary circumstances beyond a student's control. In situations that do not represent medical or other documented emergencies, the college does not generally issue an I without prior consultation with the faculty member instructing the course.

The online grade sheet does not offer faculty the option of assigning an I grade to undergraduate students. This is consistent with long-standing university policy.

Alternatives to the college-authorized I

  1. A student who fails to sit for the final without excuse may be graded ABS by the instructor; an ABS grade converts immediately on the student's grade report to an F.
  2. At his or her discretion, an instructor might also privately agree to a student's request for late submission of required work; typically, this results in the instructor submitting a missing grade or a temporary grade on the grade report, with a change of grade submitted later. The college discourages such private arrangements:
    • Missing and temporary grades interfere with timely and accurate review of a student's academic progress each semester during the college grade audit at the end of term.
    • Changes of grade based on work submitted after the final examination in the class may obscure a pattern of student underperformance and chronic difficulties, which should be addressed by students in conversations with college and/or departmental advisors.
    • Private arrangements between instructors and students pose potential problems of equity.

Materials data, kept here for reference >
'''
No. 1
Entry from Materials Project: a relaxed structure of MnNb4FeO12 (GGA+U).

Lattice parameters (Å, degrees): 5.1357 14.5573 5.8784 90.00 90.00 90.00
Fractional positions:
Mn (0.0000, 0.0000, 0.0779)
Mn (0.5000, 0.5000, 0.9221)
Nb (0.0052, 0.1620, 0.5697)
Nb (0.0066, 0.3378, 0.0693)
Nb (0.4934, 0.8378, 0.9307)
Nb (0.4948, 0.6620, 0.4303)
Nb (0.5052, 0.3380, 0.4303)
Nb (0.5066, 0.1622, 0.9307)
Nb (0.9934, 0.6622, 0.0693)
Nb (0.9948, 0.8380, 0.5697)
Fe (0.0000, 0.5000, 0.5790)
Fe (0.5000, 0.0000, 0.4210)
O (0.1524, 0.4198, 0.8675)
O (0.1562, 0.0812, 0.3704)
O (0.1655, 0.7454, 0.3768)
O (0.1652, 0.7554, 0.8767)
O (0.1834, 0.4024, 0.3519)
O (0.1853, 0.0993, 0.8528)
O (0.3147, 0.5993, 0.1472)
O (0.3166, 0.9024, 0.6481)
O (0.3345, 0.2454, 0.6232)
O (0.3348, 0.2554, 0.1233)
O (0.3438, 0.5812, 0.6296)
O (0.3476, 0.9198, 0.1325)
O (0.6524, 0.0802, 0.1325)
O (0.6562, 0.4188, 0.6296)
O (0.6652, 0.7446, 0.1233)
O (0.6655, 0.7546, 0.6232)
O (0.6834, 0.0976, 0.6481)
O (0.6853, 0.4007, 0.1472)
O (0.8147, 0.9007, 0.8528)
O (0.8166, 0.5976, 0.3519)
O (0.8348, 0.2446, 0.8767)
O (0.8345, 0.2546, 0.3768)
O (0.8438, 0.9188, 0.3704)
O (0.8476, 0.5802, 0.8675)

Results
Symmetry ... P2_12_12 (18)
V ... 219.74 Å³/f.u.

***

No. 2
Entry from Materials Project: a relaxed structure of Na3Mn3O8 (GGA+U).

Lattice parameters (Å, degrees): 8.7691 8.7691 8.7691 90.00 90.00 90.00
Fractional positions:
Na (0.0134, 0.0134, 0.0134)
Na (0.1250, 0.8750, 0.3750)
Na (0.2366, 0.2366, 0.2366)
Na (0.2634, 0.7634, 0.7366)
Na (0.3750, 0.1250, 0.8750)
Na (0.4866, 0.9866, 0.5134)
Na (0.5134, 0.4866, 0.9866)
Na (0.6250, 0.6250, 0.6250)
Na (0.7366, 0.2634, 0.7634)
Na (0.7634, 0.7366, 0.2634)
Na (0.8750, 0.3750, 0.1250)
Na (0.9866, 0.5134, 0.4866)
Mn (0.1041, 0.1459, 0.6250)
Mn (0.1250, 0.3959, 0.8541)
Mn (0.1459, 0.6250, 0.1041)
Mn (0.3541, 0.3750, 0.6041)
Mn (0.3750, 0.6041, 0.3541)
Mn (0.3959, 0.8541, 0.1250)
Mn (0.6041, 0.3541, 0.3750)
Mn (0.6250, 0.1041, 0.1459)
Mn (0.6459, 0.8750, 0.8959)
Mn (0.8541, 0.1250, 0.3959)
Mn (0.8750, 0.8959, 0.6459)
Mn (0.8959, 0.6459, 0.8750)
O (0.0693, 0.1417, 0.4068)
O (0.0932, 0.9307, 0.6417)
O (0.1083, 0.1807, 0.8432)
O (0.1203, 0.6203, 0.8797)
O (0.1297, 0.3703, 0.6297)
O (0.1417, 0.4068, 0.0693)
O (0.1568, 0.6083, 0.3193)
O (0.1807, 0.8432, 0.1083)
O (0.3193, 0.1568, 0.6083)
O (0.3432, 0.3917, 0.8193)
O (0.3583, 0.5932, 0.5693)
O (0.3703, 0.6297, 0.1297)
O (0.3797, 0.3797, 0.3797)
O (0.3917, 0.8193, 0.3432)
O (0.4068, 0.0693, 0.1417)
O (0.4307, 0.8583, 0.9068)
O (0.5693, 0.3583, 0.5932)
O (0.5932, 0.5693, 0.3583)
O (0.6083, 0.3193, 0.1568)
O (0.6203, 0.8797, 0.1203)
O (0.6297, 0.1297, 0.3703)
O (0.6417, 0.0932, 0.9307)
O (0.6568, 0.8917, 0.6807)
O (0.6807, 0.6568, 0.8917)
O (0.8193, 0.3432, 0.3917)
O (0.8432, 0.1083, 0.1807)
O (0.8583, 0.9068, 0.4307)
O (0.8703, 0.8703, 0.8703)
O (0.8797, 0.1203, 0.6203)
O (0.8917, 0.6807, 0.6568)
O (0.9068, 0.4307, 0.8583)
'''

Let us assist you in negotiating student requests for extensions

Please refer any student requesting an I in your class to the LAS Student Academic Affairs Office in 2002 Lincoln Hall, or the Access and Achievement Office, also in 2002 Lincoln Hall, in the case of Educational Opportunities Program or President’s Award Program students.

If you wish to support the student in this request, contact the LAS Student Academic Affairs Office providing the following information: student name, course name and number, specific assignment(s) for which extension is sought, estimated grade at present, and some indication of why you support an extension.

If consultation is necessary, a dean or advisor will contact you.

If an I cannot be granted by college rules, we will initiate a conversation with you regarding possible alternatives. This way, any special arrangements agreed upon between instructor and college may be noted in the student's academic folder.